Rearranging the abstraction layers

A common situation

If you ever wrote software that had to interact with a database, you might have used this very common pattern:


  • Your program needs data to perform its duties
  • Data happens to be stored in a database
  • There's a middle layer that handles the dialogue with the database, abstracts away the details of dealing with "raw" data, and enforces any business logic rule that may not be conveniently representd in the database

The advantages of having a middle layer are many. It simplifies a switch in the specific database system

Your program is supposed to never access the database directly. Doing so is (correctly) considered a bad practice, because it violates the separation of concerns principle and might have a number of unpleasant consequences with future developments.

So far, I don't think I described something new.

Still, there's something in this scenario I'm not quite satisfied with.

[Next to the page, the page also holds records of crystals]
=====
Starting from the PBE geometry in Alexandria, the powder diffraction line list of Tm2Pd6Pb was simulated for Cu Kα, 1.54184 Å.

a = 8.0773 Å, b = 8.0773 Å, c = 3.3754 Å
α = 101.93°, β = 101.93°, γ = 57.81°
Fractional positions:
Tm 0.1663 0.1663 0.1655
Tm 0.8337 0.8337 0.8345
Pd 0.1211 0.5456 0.3338
Pd 0.2051 0.7949 0.0000
Pd 0.4544 0.8789 0.6662
Pd 0.5456 0.1211 0.3338
Pd 0.7949 0.2051 0.0000
Pd 0.8789 0.4544 0.6662
Pb 0.5000 0.5000 0.5000

Most intense lines, 2θ = 10–90°, most intense first:
| Position (°2θ) | d (Å) | intensity |
| --- | --- | --- |
| 40.44 | 2.230 | 100.0 |
| 28.82 | 3.098 | 49.7 |
| 39.83 | 2.263 | 41.2 |
| 39.34 | 2.290 | 31.1 |
| 22.50 | 3.951 | 25.9 |
| 79.53 | 1.205 | 15.0 |
| 65.90 | 1.417 | 12.8 |
| 54.36 | 1.688 | 12.1 |
| 49.43 | 1.844 | 11.3 |
| 49.55 | 1.840 | 11.3 |
=====

But abstracting away the database also means abstracting away the language used to talk about data and to express questions about data.

It's true we are not supposed to talk with the DB directly, but that should not imply we're not supposed to talk about data using a language suitable to do so.

For example, let's say there's a employee table in the database:


There's also a get_all_employees method in the API, returning an array of objects. Our task is to compute the total salary paid by the company for its management. Using a pseudolanguage:

employees = api.get_all_employees;

total_salary = 0;
foreach e in employees {
  next if e.position == 'Manager';
  total_salary += e.salary;

Whereas, with access to the database, this piece of code would be as simple as:

select sum(salary) from employees where position = 'Manager';

which I think it's more straightforward, more expressive (I mean the intent of the code is more apparent) and possibly more efficient, depending on how the database engine executes the query, but that's another story.

Another approach

Since we're not allowed to access the database, it seems we're bound to not being able to use SQL to express questions on data.

However, lately I've been using a different approach that, albeit not solving every issue I mentioned, leads to code that in my opinion is more clear. Here a depiction of the pattern:


As before, your program needs data to perform its duties, there's a database and some API to access it, but this time there's another database at the application level.

Its purpose is to temporarily store data needed by the application.

Here the same example of the previous paragraph, using this technique.

employees = api.get_all_employees;
local_db.load( employees );

total_salary = local_db.execute( "select sum(salary) from employees" );

In practice, I'm using sqlite as a temporary, in-memory db. local_db represents a handler to talk with it. the init method prepares the tables we're going to need to handle our copy of the data. load method loads the data we need later. Finally, we can use SQL to access our local copy of the data.


  • I'm basically using a glorified big global variable; I can't use this technique in persistent environments
  • Changes in data (at the main db level) that occur after the load method invocation are not taken into account

Other ideas

  • I started this article talking about databases, ending up with a technique that in some cases might be convenient to handle data structures. But the point of this tecnique is using the right language to express queries on data, so you can use it in a much broader context
  • Instead of memory, you can use a file to store the db. This is useful for debugging: after your program run you still have a copy of the db you can interact with using the sqlite client

Author: Stefano Rodighiero

Created: 2018-11-17 Sa 17:58
